05 August 2009

NuYorican = Self-Hate

As for My post about quipping My way into having a knife pulled on Me, some apropos thoughts.

--Prometeo (in the comments) said I'd played it well; so did the guys who tried to identify the shouting coward. But there's a small part of Me that thinks I pushed too far. And a larger part of Me that thinks I didn't say enough afterward. That second part gets its second chance here.

--What pissed me off about the guy was his total--his utterly complete--lack of self-knowledge. He is a Puerto Rican, by birth and/or ancestry, and yet he believes, to the extent of acting out in public, that he is superior to being Puerto Rican, to being what he is. That's insane. And idiotic.

Now granted, We all feel superior to some other people; it's a natural human reaction based on competitiveness. Some do it by calling themselves Jeniuses, others "preppy" and the more deluded ones "Republicans." Or "Democrats." (Two sides of the same scarred coin.) Hell, I grew up in the South and many people there have the asinine illusion that their skin color makes them superior to others. But rarely, if ever, do you encounter someone who IS EXACTLY what he feels superior to.

Here We have a Puerto Rican, carrying a knife, to "protect" himself from Puerto Ricans who are "fucking stupid" enough to act exactly as he did. Here's My solution: He should, as soon as possible, stab himself. Twice.

--The "NuYorican" self-hate attitude that Prometeo also noted has long chafed My scrotum, for it can be encapsulated as "Everything in the States is better than Puerto Rico, including me because I live/used to live there." Here's a newsflash, punks: You are the very proof that you are wrong.

Misplaced molecular data =
+++
DFT (the ωB97M-V functional and the def2-TZVPD basis) results for 2 unconnected molecules or ions with the total composition C16H19ClN at a distorted geometry.

Last column: Löwdin charge in e.
Cartesian coordinates (Å):
C  -3.633202  -2.480006  -2.651615  -0.0747
H  -2.476268  -0.100211  0.166996  0.0529
H  -0.717950  0.009866  -3.061224  0.1119
N  -2.045595  -0.904039  -1.710057  0.0077
C  4.758206  0.148369  1.462606  -0.0126
H  -2.192688  -0.140628  1.936672  0.0960
C  0.037829  -1.501357  1.241846  -0.0221
H  -0.635371  -1.451352  2.105878  0.0981
C  -0.896915  1.279939  0.937930  0.0860
H  -3.562561  -1.811400  -0.591084  0.1129
C  2.341807  -0.591469  1.394804  0.0212
H  0.386037  3.723368  2.221690  0.1048
H  -4.473948  -3.146035  -2.484533  0.1117
H  5.272519  0.572724  0.587046  0.1061
C  1.030704  3.496221  1.362733  -0.0347
C  -1.530343  -0.721753  -2.951114  -0.1170
H  2.692893  -1.630310  1.482841  0.1350
C  -2.149045  0.489829  1.043366  -0.0569
C  1.456822  2.059286  1.287679  -0.1627
H  3.515641  2.591026  1.466187  0.1377
H  -1.540472  -1.241867  -5.061435  0.1101
H  5.232132  0.577754  2.356349  0.1042
C  0.983208  -0.357787  1.235803  -0.1543
C  -1.987311  -1.411661  -4.086840  -0.0737
Cl  -3.611196  -3.233036  -5.233919  0.7330
C  2.800870  1.759928  1.402402  0.0154
C  3.282403  0.441327  1.427402  -0.1921
C  -3.103477  -1.736015  -1.587816  -0.1345
C  0.475624  0.988108  1.124160  -0.0977
H  -0.561352  -1.511280  0.327956  0.0766
C  -3.040131  -2.320629  -3.907824  -0.6776
H  0.496519  3.770751  0.450640  0.0947
H  -1.112639  2.357029  0.868374  0.1202
H  4.929691  -0.934935  1.466214  0.0882
H  1.909840  4.145186  1.446739  0.0908
H  -2.926124  1.257334  1.205653  0.0987
H  0.593830  -2.442261  1.317486  0.0966

Forces on the atoms, in the same order (eV/Å):
C 0.52 0.56 0.30
H 0.77 0.33 0.24
H -0.34 -0.39 0.20
N -0.41 -0.18 -0.99
C -0.10 -0.25 0.10
H 0.36 -0.12 -0.21
C 0.17 -0.67 -0.05
H 0.13 0.01 -0.18
C 1.55 0.30 0.79
H 0.28 -0.05 -0.42
C -0.25 -0.56 -0.09
H 0.09 -0.26 -0.18
H 0.16 0.09 -0.17
H -0.27 -0.02 0.22
C 0.19 0.29 -0.16
C -0.50 -0.55 0.05
H -0.22 0.54 -0.10
C -0.93 0.84 0.44
C -0.05 0.08 -0.01
H -0.33 -0.40 0.05
H -0.11 -0.08 0.17
H -0.18 -0.03 -0.20
C 0.17 -0.14 0.35
C -0.19 0.08 0.96
Cl -0.12 -0.15 -0.27
C -0.17 0.61 -0.05
C -0.04 0.05 -0.26
C 0.40 0.03 -0.65
C -0.74 0.11 0.00
H -0.07 -0.05 0.09
C 0.28 0.41 0.52
H -0.02 0.15 0.07
H 0.30 -0.48 -0.23
H 0.01 0.31 0.02
H -0.23 -0.16 -0.07
H 0.08 -0.43 -0.19
H -0.18 0.18 -0.09

E_tot = -30905.521 eV
energy above the lowest of the compared OMol25 structures with the same formula, charge and spin = 65.5 kJ/mol
LUMO level = -5.483 eV
highest occupied orbital energy = -12.4 eV
total charge = +1

=====

The following is a quantum chemistry calculation of a 9-piece molecular cluster, C13H44O13 overall, from the OMol25 dataset.

CARTESIAN COORDINATES (ANGSTROEM)
O -21.53656 -15.22634 15.03318
C -20.45422 -15.96552 15.58584
C -19.44347 -16.55710 14.56441
+++

Many NuYoricans are infamous for being practically illiterate in two languages; so much for the "better educated" rant. Many NuYoricans are notorious for saying they make more money than locals, but they pay more in taxes and live marginally or lie about it and make less, seeing as how they rely more on welfare that most of Us do (check this out). And many NuYoricans profess to hate Puerto Rico and its people, but when given the chance to go anywhere in the world, where do they go? 

Now most of these cretins say they visit Puerto Rico because this is where their family is, often with an extra "They can't afford to travel to the States" snideness tossed in. Bullshit. You don't come here to be with your family, or at least to share positively with them, you scummy NuYorican (oh yeah, I went there): you come here to try to feel superior for the shitty life you lead every day. And because you're too pathetic and sorry to go anywhere else.

I'm not sure why your life is shitty, but I can point to your attitude and say "There's part of your problem." Yes, the States are bigger. Yes, there's more money in that economy. Yes, there's more of everything over there. But that means nothing unless you feel worthy and you NuYoricans obviously don't.

And here's the proof, you crap-brained hypocrites: You despise what you are by viciously denying who and what you are. If you had any shred of self-respect and self-esteem, you wouldn't ever feel the need to do that.

Obviously, even in My post, not all New York Puerto Ricans are NuYoricans. But as a sub-species of Jibarus portorricensis, of the Puerto Rican brethren I belong to, NuYoricans are the ugly retarded cousins that should be kept in the back room.

Oh yeah, I went there again.

The Jenius Has Spoken.



Antigonum Cajan said...

Sorry Gil, for my previous
thoughts.After reading this
I am a convert you are a
The great thing about reading
is finding someone
capable of expressing
much better than one could
a great feeling of scorn
toward people, behavior
you have hit the head, actually
sank it deeply, of the nail.
Scum bags of neoyoricans!

James said...

From the New York Puerto Ricans I have known, I sense in them a deep sense of disappointment and betrayal. They grew up in New York, perhaps speaking marginal Spanish at home (but never receiving Spanish education), spent all their time being a minority, a poor minority with all the prejudice that goes with it, but, and this is the key - through it all they were told that they were Puerto Rican, that they should be proud of their heritage. They wore it on their sleeves through the parades, the flags, and the boricua-ness which only can be understood within the confines of an urban getto community. In their marginalization by the larger culture they retreated into their own imaginary Puerto Rican identity now in its second generation abroad.

"Ah," they say, "Puerto Rico is my home, my heart, my soul, where I am from. Look, Mami makes acapurrias. I ate piñón once. Look, I speak Spanish. I have a flag on my rear view mirror. I support an independent Puerto Rico. Viva Puerto Rico!" It is an idealized notion separated by thousands of miles and decades of time.

(The entry is interrupted by records of molecules)
┌──
Entry 1:
└──
(Here the entry continues)

From a lifetime of having to speak out, to act out because of injustice and marginalization, they have developed a gruff voice, the harsh strident voice of the oppressed ready to see and combat any slight at any moment - at all moments. They come here only to find that people don't raise their voices to get what they want. People are quiet. They work around things. They use la indirecta, and they stab you in the back - but quietly.

New York Puerto Ricans come here, and what do they get?

Culture shock.

It is not what they expected. They are not accepted as they thought they should be. Their culture is distinct from that of the Island. They may as well be gringos with a twist. The difference, though, is that the gringo expects it. The Puerto Rican from New York thinks he was going home. But this is not home.

And therein lies the anger, the disappointment, the powerlessness, and the deeply troubled heart of someone who doesn't belong anywhere, who thought he was home and found out that he was a foreigner.

My best advice to a New York Puerto Rican would be: come to Puerto Rico as if you were that foreigner, with no expectations, no pre-conceptions, and with humility to learn the things that were lost, and to unlearn some of things you have.

For me, I know where I don't fit in. I know were my baggage is. I'm not so sure New York Puerto Ricans consider enough their own baggage.

GCSchmidt said...

James, you have shown a level of understanding and compassion that I obviously don't have or feel; more power to you. I pretty much went darkside on this sub-sub-segment of Puerto Ricans, but you shed more light on them.

Unknown said...

Glad you didn't became a Primera Hora subject.
James, great comments. A huge segment of my family would relate to you thoughts about ethnic Boricuas.
There are asshole on both sides of the Atlantic.
Don't know if it was conscious or not but even when, you went "dark side" you ended on a positive note. Awesome.